Assignment:
Next, echo every line further down that contains the word "DFT".

Entries:
/*
DFT (PBE-GGA) results for Na14La4Hf4Si9S3O48 after structural relaxation.

Results
- Calculated total energy: -0.2637 Ha/atom
- Volume: 1195 Å³/f.u.
- Total magnetic moment: 0.000 μB/atom
- Symmetry: P1, No. 1
- Formation enthalpy at 0 K: -2.982 eV/atom

a b c (Å): 9.4911 16.4763 22.9339
angles (deg): 90.22 90.00 90.01
Positions (direct):
Na: 0.0000 0.0000 0.0000
Na: 0.9996 0.6615 0.3353
Na: 0.0063 0.9641 0.6694
Na: 0.0212 0.6537 0.6626
Na: 0.0232 0.3152 0.0124
Na: 0.0554 0.9974 0.3263
Na: 0.1651 0.8257 0.7482
Na: 0.1676 0.1468 0.4135
Na: 0.1697 0.4705 0.5790
Na: 0.1812 0.8301 0.2394
Na: 0.1831 0.4795 0.0823
Na: 0.1875 0.1326 0.9211
Na: 0.2908 0.9893 0.8378
Na: 0.3071 0.3180 0.5037
Na: 0.3336 0.6552 0.1570
Na: 0.3465 0.9764 0.1638
Na: 0.3492 0.0147 0.4943
Na: 0.3528 0.6594 0.8412
Na: 0.3803 0.2967 0.8151
Na: 0.4756 0.8028 0.3103
Na: 0.5000 0.1611 0.3229
Na: 0.5025 0.5122 0.0008
Na: 0.5130 0.4686 0.6663
Na: 0.5198 0.1558 0.6554
Na: 0.5457 0.8212 0.0077
Na: 0.5629 0.4868 0.3331
Na: 0.6591 0.6313 0.4118
Na: 0.6680 0.3244 0.7423
Na: 0.6697 0.9816 0.5799
Na: 0.6726 0.3139 0.2415
Na: 0.6768 0.9797 0.0829
Na: 0.6827 0.6490 0.9228
Na: 0.7937 0.4950 0.8352
Na: 0.8164 0.1530 0.1610
Na: 0.8289 0.8171 0.5004
Na: 0.8423 0.4607 0.1664
Na: 0.8510 0.4935 0.4904
Na: 0.8527 0.1587 0.8400
Na: 0.8694 0.1445 0.4885
Na: 0.8731 0.7985 0.8289
Na: 0.9759 0.2967 0.3225
Na: 0.9830 0.6428 0.9939
La: 0.1690 0.8213 0.9016
La: 0.1731 0.4925 0.9322
La: 0.1801 0.1520 0.2511
La: 0.1812 0.1561 0.5695
La: 0.1821 0.8194 0.3973
La: 0.1872 0.1438 0.7584
La: 0.6654 0.6451 0.2578
La: 0.6706 0.6563 0.0704
La: 0.6723 0.3180 0.9006
La: 0.6768 0.9946 0.4291
La: 0.6821 0.3208 0.3987
La: 0.6826 0.6511 0.7557
Hf: 0.1683 0.8196 0.5938
Hf: 0.1704 0.4955 0.4372
Hf: 0.1744 0.1484 0.0707
Hf: 0.1765 0.4832 0.2269
Hf: 0.1775 0.4876 0.7266
Hf: 0.1799 0.8294 0.0890
Hf: 0.6678 0.9930 0.2244
Hf: 0.6730 0.3282 0.5898
Hf: 0.6750 0.9837 0.7266
Hf: 0.6802 0.3148 0.0957
Hf: 0.6835 0.9964 0.9381
Hf: 0.6892 0.6499 0.5657
Si: 0.0170 0.9961 0.1637
Si: 0.0180 0.6697 0.4956
Si: 0.0218 0.9684 0.4953
Si: 0.0229 0.3081 0.1613
Si: 0.0296 0.6391 0.8246
Si: 0.3201 0.6273 0.3288
Si: 0.3255 0.6695 0.9969
Si: 0.3312 0.9786 0.9940
Si: 0.3358 0.9869 0.6610
Si: 0.3438 0.3135 0.6632
Si: 0.3757 0.9861 0.3307
Si: 0.4734 0.4858 0.8296
Si: 0.4826 0.1561 0.1673
Si: 0.5065 0.8125 0.1633
Si: 0.5152 0.4887 0.1609
Si: 0.5216 0.4779 0.4954
Si: 0.5278 0.1700 0.4980
Si: 0.5332 0.1276 0.8288
Si: 0.8265 0.4673 0.9952
Si: 0.8279 0.1389 0.3254
Si: 0.8300 0.8077 0.6617
Si: 0.8353 0.4970 0.6635
Si: 0.8430 0.1703 0.9938
Si: 0.8722 0.8222 0.9906
Si: 0.8878 0.4880 0.3292
Si: 0.9638 0.9873 0.8286
Si: 0.9791 0.3223 0.4915
S: 0.0023 0.6523 0.1639
S: 0.0282 0.3404 0.8238
S: 0.3110 0.3470 0.3325
S: 0.3666 0.6530 0.6628
S: 0.3704 0.3108 0.0006
S: 0.4803 0.8104 0.5017
S: 0.5374 0.8467 0.8312
S: 0.8220 0.8395 0.3254
S: 0.8504 0.1525 0.6641
O: 0.0043 0.8149 0.6498
O: 0.0045 0.8327 0.0375
O: 0.0093 0.4966 0.6654
O: 0.0140 0.1580 0.0057
O: 0.0272 0.7222 0.4358
O: 0.0339 0.2588 0.2221
O: 0.0574 0.5903 0.8855
O: 0.0582 0.0664 0.1134
O: 0.0577 0.0720 0.8314
O: 0.0676 0.9079 0.8249
O: 0.0755 0.2427 0.5031
O: 0.0773 0.3728 0.8800
O: 0.0773 0.4056 0.4931
O: 0.0777 0.9329 0.4326
O: 0.0796 0.0610 0.5018
O: 0.0796 0.3939 0.7751
O: 0.0824 0.5772 0.4926
O: 0.0830 0.4025 0.1654
O: 0.0828 0.5809 0.7685
O: 0.0849 0.9078 0.1463
O: 0.0874 0.2579 0.8171
O: 0.0878 0.7208 0.5500
O: 0.0928 0.9076 0.5465
O: 0.0944 0.2545 0.1078
O: 0.0950 0.7245 0.1565
O: 0.0963 0.5786 0.1687
O: 0.0974 0.0244 0.2233
O: 0.1172 0.7248 0.8206
O: 0.2435 0.0237 0.7163
O: 0.2436 0.7168 0.3271
O: 0.2474 0.5809 0.0059
O: 0.2505 0.2646 0.3326
O: 0.2557 0.9497 0.9333
O: 0.2577 0.3923 0.2805
O: 0.2585 0.0663 0.0109
O: 0.2648 0.7298 0.0493
O: 0.2653 0.8959 0.6510
O: 0.2672 0.3900 0.3866
O: 0.2666 0.7192 0.6485
O: 0.2684 0.5746 0.3859
O: 0.2719 0.5752 0.2703
O: 0.2753 0.2402 0.0089
O: 0.2767 0.2760 0.6042
O: 0.2780 0.4065 0.6720
O: 0.2797 0.0688 0.3290
O: 0.2821 0.5751 0.6636
*/

Completed:
DFT (PBE-GGA) results for Na14La4Hf4Si9S3O48 after structural relaxation.